
May 29, 2014


If you've been following me on Instagram you would have known that I was doing a #28daygutcleanse for the past month. The reason I wanted to embark on such a thing was because the way we are taught at college to heal a leaky gut, can be quite a lengthy process, and I wondered if clients would really see and feel tangible results soon enough to want to continue with these sometimes restricted (and long) eating plans. It was upon reading about another process, essentially the same, but done in 28 days, I had to try it for myself - that and still feeling gut symptoms myself, I wanted to clear this all up.

Clean Gut by Alejandro Junger was the book. It's an incredible book and he's an incredible guy (you may remember him from Hungry For Change). And the 'protocol' he uses is the same as what health practitioners use, and refer to as "weeding and feeding", or the 4 R's --

Remove; using anti-parasitic herbs. This step focuses on eliminating pathogenic bacteria, viruses, fungi, parasites, allergens and toxins from the gastrointestinal tract.
Replace; using enzymes. We aim to replenish enzymes and other digestive factors lacking or insufficient in an individual’s gastrointestinal environment. Gastrointestinal enzymes needing to be replaced include pancreatic enzymes and the proteases, lipases, cellulases, and saccharidases that are normally secreted into the intestine. Other digestive factors that may require replenishment include hydrochloric acid (HCL) and intrinsic factor (IF), normally secreted by cells in the stomach wall, and bile, synthesised in the liver.
Reinoculate; with pro- and pre-biotics. We want to reintroduce desirable bacteria into the intestine to establish microfloral balance.
Repair; with gut healing herbs and foods.This involves direct nutritional support to the intestinal cells through the use of supplements containing nutrients known to be critical in intestinal wall structure and function.

This is a step-by-step process that includes supplements suited to the individual, dietary restrictions and additions, again tailored to the individual, and a hope that the client really sticks to it!

In Clean Gut, Alejandro recommends essentially doing all 4 stages at once, where as I was taught to do them one step at a time... and you can imagine if your anti-parasitic herbs are usually taken for at least a month, you're looking at a few months here. So for 28 days you're taking supplements, slurping a liquid brekkie everyday, eating proper meals for both lunch and dinner (foods from the "allowed" list), with plenty of water and herbal teas in between. He didn't mention whether snacks were a yay or a nay, so I just went with how hungry I felt. Most days morning tea wasn't needed but arvo tea was. And then I'd still be eating allowed foods.

=====
Below is a geometry-optimized CdPPd5 structure, with properties calculated at the PBE-GGA level.

Cell lengths 3.9703, 3.9703, 7.0601 Å; angles 90.00, 90.00, 90.00 degrees
Closest atoms and distances in Å follow each position.
Positions (direct):
Cd 0.5000 0.5000 0.0000  12 Pd 2.81-2.91
P 0.0000 0.0000 0.5000  8 Pd 2.43
Pd 0.0000 0.0000 0.0000  4 Cd 2.81, 8 Pd 2.91
Pd 0.5000 0.0000 0.6992  2 P 2.43
Pd 0.0000 0.5000 0.6992  2 P 2.43
Pd 0.5000 0.0000 0.3008  2 P 2.43
Pd 0.0000 0.5000 0.3008  2 P 2.43

Calculated values
- VASP energy: -5.06 eV per atom

----------

Record 1
Density functional theory data (PBE-GGA) for Tl after structural relaxation.

Cell and atoms, written as extended XYZ:
```
2
Lattice="1.7745 -3.0735 0.0000 1.7745 3.0735 0.0000 0.0000 0.0000 5.7384" Properties=species:S:1:pos:R:3 pbc="T T T"
Tl 1.7745 -1.0245 1.4346
Tl 1.7745 1.0245 4.3038
```

## Properties
Energy of formation from the pure elements   0.1 kcal/mol of atoms
Polymorph energy (0 for the lowest one)   4 meV per atom
Calculated total energy   -2.359 eV/atom
Crystal system   hexagonal



Record 2
Density functional theory data (PBE-GGA) for Tl after structural relaxation.

Cell and atoms, written as extended XYZ:
```
1
Lattice="-1.9818 1.9818 1.9818 1.9818 -1.9818 1.9818 1.9818 1.9818 -1.9818" Properties=species:S:1:pos:R:3 pbc="T T T"
Tl 0.0000 0.0000 0.0000
```

## Properties
Energy of formation from the pure elements   0.0 kcal/mol of atoms
Polymorph energy (0 for the lowest one)   1 meV per atom
Calculated total energy   -2.362 eV/atom
Crystal system   cubic



Record 3
Density functional theory data (PBE-GGA) for Tl after structural relaxation.

Cell and atoms, written as extended XYZ:
```
4
Lattice="1.7728 -3.0705 0.0000 1.7728 3.0705 0.0000 0.0000 0.0000 11.4356" Properties=species:S:1:pos:R:3 pbc="T T T"
Tl 0.0000 0.0000 0.0000
Tl 1.7728 1.0235 2.8589
Tl 0.0000 0.0000 5.7178
Tl 1.7728 -1.0235 8.5767
```

## Properties
Energy of formation from the pure elements   0.6 kcal/mol of atoms
Polymorph energy (0 for the lowest one)   26 meV per atom
Calculated total energy   -2.337 eV/atom
Crystal system   hexagonal



Record 4
Density functional theory data (PBE-GGA) for Tl after structural relaxation.

Cell and atoms, written as extended XYZ:
```
29
Lattice="-0.8013 -5.0589 9.2944 3.2957 9.9499 1.6609 -9.4796 0.1628 -4.7677" Properties=species:S:1:pos:R:3 pbc="T T T"
Tl -6.0935 -0.5444 3.5584
Tl -3.2433 -0.0088 1.9983
Tl -3.4857 -2.9758 4.0502
Tl -6.5805 -3.9910 4.5360
Tl -8.1708 -3.0341 1.9590
Tl -5.8112 2.0810 0.9728
Tl -1.7599 5.1847 3.0114
Tl -4.6278 3.2528 -2.3264
=====

Foods I enjoyed: 
  • Greens and fresh vegetables
  • Wild fish
  • Grass-fed meats
  • Organic eggs
  • Fermented foods
  • Nuts, seeds and butters (not peanut)
  • Avocado
  • Coconut
  • Fresh and frozen berries
  • Lentils and quinoa were also allowed, but I didn't eat these

Foods I avoided:
  • Gluten
  • Dairy
  • Processed sugar
  • Alcohol
  • Caffeine (green tea ok)
  • Beans
  • Rice
  • Soy
  • Potatoes
  • Corn
  • All other fruits

Supplements I took:
  • Herbal antimicrobial 2x daily
  • Saccharomyces boulardii 2x daily
  • Multiple-strain probiotic 2x daily
  • Multiple digestive enzymes 3x daily
  • Monolaurin (antibiofil dissolver + antimicrobial) 2x daily
  • B Complex 2x daily
  • Magnesium citrate 1x daily

Days 1 - 21 was following all Clean Gut protocols (as mentioned above). This was great and pretty easy as his recommendations are not far off my usual diet. I rarely eat grains or dairy, my sugar intake consists of fruit and coconut nectar mostly, and I also rarely drank coffee and alcohol. What I really missed though was sweet potato and bananas. Both of those I pretty much eat daily. Besides the odd day here and there when I would have really loved a raw bliss ball, and every other day wanting roasted sweet potato in ghee... I followed the protocol easily and my gut symptoms were noticeably and plesantly gone the whole time.From being diagnosed with IBS when I was 7yrs old, I've experienced gut pain, constant bloating, cramping, gas, and discomfort on and off ever since, never really getting to the bottom of it. So to have these all disappear for 21 days was pure bliss!

Days 22 +23 was the reintroduction, and testing phase, of dairy. I was so excited about this! I don't know why as like I said I eat very little but I think it was just a different food I could eat now that had me excited. What I had to do here was eat some form of dairy at every meal for the two days and take note of any symptoms, responses, reactions I felt - headaches, skin eruptions, tiredness, foggy in the head, moodiness, bowel changes, etc. So I went out and bought yoghurt, cheese and raw milk. I felt previously that a little cheese or yoghurt was fine in my tummy, but milk made me gassy. For that reason, I wanted to try it again, but was only prepared to try raw milk. And with a full glass of it, no gut symptoms! That went down a treat! Day 2 things weren't so fun. I felt that the previous day's worth of dairy was playing havoc in my system, and I felt bloated after brekkie (milk and yoghurt) on day 2, more bloated after lunch (cheese) and with a ballooned out abdomen along with cramping pains the whole time, I wasn't game to eat dairy again at dinner. So in tiny amounts, every now and then, dairy might be ok for me, but to be eating it daily, it's quite clear that it does not serve my health for the better.

Day 24 + 25 I was back on the Clean Gut protocol again (having no dairy was now more exciting than having to have it) to allow any symptoms and responses to settle down. My gut symptoms disappeared and I felt better again.

Day 26 - 27 was then the reintroduction and experimentation of gluten. This I was intrigued about as the only gluten (and grains for that matter) that I eat would be a piece of sourdough bread when we're out for brekkie on a Thursday morning and occasionally sprouted Khorasan bread at home. So for brekkie day 1 I had some ciabatta bread out at a cafe with eggs, veggies and bacon... lunch was non existant after the big late brekkie, and dinner I had sprouted toasted bread with home made chicken and veggie curry (that smelt and tasted amazing by the way). I was feeling o-k but not amazing, as I intuitively knew that something in the store-bought curry paste mix didn't agree with me. Severe bloating and pain that night.
Day 2 I had soaked oats with seeds, goji berries, and cashew yoghurt on top for brekkie. I had work on from 9am and by the time I got there I felt like I was ready for a long nap. Sooooooo very lethargic. Lunch was sprouted bread again, with a little nut butter and some mackeral (keeping it simple to notice any effects from the bread), and dinner I was out so no gluten available.
Obviously I didn't really get the chance to change my gluten options up enough so I might try some pasta or something else soon if I feel like it, but I feel that it's not something I enjoy eating anyway. I never ate much of it. If I feel like pasta, or bread or grains I eat them, but it's so rare that I never really do anyway. As to whether or not my body likes them... I'd say not so much as for these two days I wasn't necessarily bloated and crampy as I was with dairy, but I was definitely much more tired and lethargic.

Day 28 was reflection and also my first banana after a month without. Yay! That was an awesome brekkie! I will continue eating very similar to the Clean Gut protocol from now as it's so close to how I ate before, but with a few tweaks here and there I have noticed the effects on how my gut feels and functions significantly. I'm keeping up with the supplements until I've finished them all and will see how I feel when I'm off them. I'll also be keeping my sugar intake down as a month without, I am still noticing how I feel when I have a little - some dried mango slices had me feeling funny in my tummy and a little fuzzy in my head.

So in a broader reflection, this is something I will definitely be taking clients through as it's shorter, simpler, and more effective than what we have been shown and taught in college, and I reckon that client compliance will also be greater. Win Win really.

How about you? Have you tried any gut protocols that you have found to be effective or not at all? Are you still experiencing gut symptoms and need something to change? Shoot me an email if you wanna chat some more.


  1. Loving your website and delicious photos - total drool worthy, especially when I'm doing a Juice Cleanse... That makes me wonder, did you ever publish a cookbook like you were going to - I know I'd SO buy one, maybe two or three!! Isn't the gut an interesting thing huh? Cleanses bring up so much opportunity to heal. Love you work girl - keep shining xxx

    1. Hey gorgeous girl... Thanks for your comment. I always love reading them. Yes the gut is a fascinating and marvelous thing we've all got. No I never did a cookbook... I'm still thinking about it after 4 yrs. I'll let you know if and when... xx
